We'll say it again: getting published is hard.
High-quality copy or line editing can often be the difference between finding a home for a piece, or not. Whether catching grammar and usage errors, or exploring issues of craft and style, or discussing “big picture” topics like character or plot, Submitit’s experienced editors can help. You can read more about our approach to editing here.
Submitit's Editors
Submitit has two editors on staff: Erik Harper Klass (the owner) and Josie Cameron. Note that work will generally go to the editor with more availability, unless you make a specific request (use the note field when signing up, or email us after signing up at info@submititnow.com).

Josie Cameron received a dual MFA in Poetry and Fiction from the University of Notre Dame. Her latest poetry is forthcoming in Meter (Scientific American), and she recently published four novels with Macmillan/Farrar, Straus and Giroux (BYR). Among other accolades, Josie’s work has been awarded two Academy of American Poets prizes and a Kirkus Reviews Best Book of the Year.
Josie has over fifteen years of experience editing, coaching, and teaching poetry, fiction, and creative non-fiction. She got her start as Instructor of Creative Writing: Poetry 202 at Notre Dame and has since edited and coached many professional writers including Shana Youngdahl (RHINO Poetry, The Journal, Juked, SFASU Press, Miel Books, Penguin Random House), Ann Braden (Sky Pony Press, Penguin Random House), and Anna Vodicka (Brevity, Guernica, Harvard Review, AFAR, McSweeney’s). She lives in Maine.

Erik Harper Klass (founder, owner) has published stories in a variety of journals, including New England Review, Ninth Letter, South Carolina Review, Yemassee, Summerset Review, and Slippery Elm. His novella Polish Poets in Beds with Girls is now available from Buttonhook Press, and he has been nominated for multiple Pushcart Prizes.
As an editor, he has worked with dozens of professional writers, including Erin Rose Belair (Glimmer Train, Narrative, Greensboro Review, Juked), Dvora Rabino (The Lascaux Review, Santa Fe Writers Project, Best of the Net nominee), Dominica Phetteplace (Zyzzyva, Copper Nickel, Ecotone, The Los Angeles Review, PANK, multiple Pushcart Prizes), and many more. Stories and essays he's edited have appeared in dozens of literary journals, including Southern Indiana Review, Los Angeles Review, Chicago Quarterly Review, Summerset Review, Blood Orange Review, Saranac Review, New Pop Lit, and way too many others to list here. He writes and edits in Los Angeles.​
From the minutiae of copy editing, to broader topics such as character, language, and voice, to the use of craft and the development of style, Erik will help you take your writing to the next level. To read much more about his approach to editing, click here.
Unrelated to this entry: records of crystals:
# AcHoC3N6 (PBE-GGA, relaxed)
data_AcHoC3N6
_cell_length_a 6.384
_cell_length_b 6.384
_cell_length_c 6.384
_cell_angle_alpha 115.79
_cell_angle_beta 64.21
_cell_angle_gamma 115.79
_symmetry_space_group_name_H-M 'P 1'
_symmetry_Int_Tables_number 1
_symmetry_space_group_name_Hall 'P 1'
loop_
_atom_site_label
_atom_site_type_symbol
_atom_site_fract_x
_atom_site_fract_y
_atom_site_fract_z
C1 C 0.534 0.829 0.991
C2 C 0.171 0.009 0.534
C3 C 0.991 0.466 0.171
N1 N 0.418 0.813 0.870
N2 N 0.646 0.842 0.115
N3 N 0.158 0.885 0.646
N4 N 0.115 0.354 0.158
N5 N 0.870 0.582 0.187
N6 N 0.187 0.130 0.418
Ho1 Ho 0.060 0.940 0.060
Ac1 Ac 0.420 0.580 0.420
# Symmetry   R3 (146)
# Energy relative to the elements, uncorrected   -73.8 kJ/mol of atoms
# Calculated volume   201.0 Å³/cell
# D(E_F)   0.00 states/eV/f.u.
# Energy   -0.6329 Ry per atom

---

# Ac2HoC2N6 (PBE-GGA, relaxed)
data_Ac2HoC2N6
_cell_length_a 5.420
_cell_length_b 5.560
_cell_length_c 6.657
_cell_angle_alpha 117.51
_cell_angle_beta 90.00
_cell_angle_gamma 119.17
_symmetry_space_group_name_H-M 'P 1'
_symmetry_Int_Tables_number 1
_symmetry_space_group_name_Hall 'P 1'
loop_
_atom_site_label
_atom_site_type_symbol
_atom_site_fract_x
_atom_site_fract_y
_atom_site_fract_z
N1 N 0.241 0.045 0.780
N2 N 0.759 0.955 0.220
N3 N 0.804 0.045 0.780
N4 N 0.196 0.955 0.220
N5 N 0.221 0.442 0.333
N6 N 0.779 0.558 0.667
Ac1 Ac 0.286 0.571 0.802
Ac2 Ac 0.714 0.429 0.198
C1 C 0.059 0.119 0.254
C2 C 0.941 0.881 0.746
Ho1 Ho 0.500 0.000 0.500
# Symmetry   C2/m (12)
# Energy relative to the elements, uncorrected   -80.1 kJ/mol of atoms
# Calculated volume   148.7 Å³/cell
# D(E_F)   5.70 states/eV/f.u.
# Energy   -0.6036 Ry per atom

---

# AcHoC2O8 (PBE-GGA, relaxed)
data_AcHoC2O8
_cell_length_a 5.054
_cell_length_b 5.032
_cell_length_c 6.664
_cell_angle_alpha 67.82
_cell_angle_beta 67.72
_cell_angle_gamma 59.86
_symmetry_space_group_name_H-M 'P 1'
_symmetry_Int_Tables_number 1
_symmetry_space_group_name_Hall 'P 1'
loop_
_atom_site_label
_atom_site_type_symbol
_atom_site_fract_x
_atom_site_fract_y
_atom_site_fract_z
O1 O 0.911 0.459 0.719
O2 O 0.089 0.541 0.281
O3 O 0.660 0.654 0.027
O4 O 0.459 0.911 0.721
O5 O 0.340 0.346 0.973
O6 O 0.909 0.911 0.721
O7 O 0.541 0.089 0.279
O8 O 0.091 0.089 0.279
C1 C 0.735 0.735 0.795
C2 C 0.265 0.265 0.205
Ho1 Ho 0.000 0.000 0.000
Ac1 Ac 0.500 0.500 0.500
# Symmetry   C2/m (12)
# Energy relative to the elements, uncorrected   -193.5 kJ/mol of atoms
# Calculated volume   131.9 Å³/cell
# D(E_F)   7.04 states/eV/f.u.
# Energy   -0.5565 Ry per atom

---

# Ac2CI (PBE-GGA, relaxed)
data_Ac2CI
_cell_length_a 4.068
_cell_length_b 4.068
_cell_length_c 8.761
_cell_angle_alpha 76.57
_cell_angle_beta 76.57
_cell_angle_gamma 60.00
_symmetry_space_group_name_H-M 'P 1'
_symmetry_Int_Tables_number 1
_symmetry_space_group_name_Hall 'P 1'
loop_
_atom_site_label
_atom_site_type_symbol
_atom_site_fract_x
_atom_site_fract_y
_atom_site_fract_z
C1 C 0.666 0.666 0.001
Ac1 Ac 0.275 0.275 0.176
Editing Rates
$60/1,000 words
Copy editing focuses on errors of grammar (including punctuation), spelling, syntax, and common usage. Writers have a notoriously difficult time copy editing their own work. And a story with multiple errors will obviously distract a reader from noticing its potential greatness. There’s simply too much competition out there to submit grammatically imperfect stories. We're here to help.
$85/1,000 words
Line editing focuses primarily on topics such as craft, style, and consistency of voice or concept at the word, sentence, and paragraph level. Good line editing will also often get into issues related to characters, structure, and story, especially when the prose is already in good shape. Our line editing services always include copy editing (but not the other way around).
Typically, before we consult with a writer one-on-one, we’ll copy edit or line edit a story. Consulting is a meeting of voices. It allows us to get into a story in much greater detail. If you have questions about a story, or simply want to discuss the writing or submission process in general, consulting is the way to go. (Copy editing and line editing fees are not included in our consulting fees.)
"Erik brings kindness, wisdom and deep knowledge to the editing and submission process.” —Dominica Phetteplace (Pushcart Prize, Zyzzyva, Copper Nickel, Ecotone, and others)
"Erik was prompt, responsive, cordial, and a pleasure to work with. His comments and suggestions improved my essays and stories immensely. And he placed all three of my pieces [in literary journals] within three months. He totally knows his stuff!" —Dvora Wolff Rabino (The Ignatian Literary Magazine, Linden Avenue Literary Journal, The Lascaux Review, and others)
"Getting published in a literary journal was a lifelong dream of mine. After years of rejections, Erik helped me get there! His sensitive and thoughtful editing and comments made my stories better. I’m deeply thankful and urge writers to give him a try.” —Jane Van Cantfort (Fiction on the Web and others)
"Josephine is a careful reader who can drill into the heart of a manuscript. She's an expert guide!" —Shana Youngdahl, author of A Cage to Welcome, As Many Nows As I Can Get, and A Catalog of Burnt Objects